Coaches can face liabilities on court that can put them in court
By Lisa Matkowsky | Cleveland Jewish News
Youth sports are a year-round, multi-million-dollar industry, and they are subject to regulation by private and public entities. Generally, private organizations regulate youth sports, and the rules primarily address the conduct of coaches and parents.
Governmental regulation is more prominent in high school sports, including state concussion laws and laws against hazing. Samir Dahman, partner in charge of Kohrman Jackson & Krantz, which has offices in Cleveland and Columbus, and Rubin Guttman, of Rubin Guttman & Associates LPA in Cleveland, discussed the most common liabilities and what responsibilities coaches have to best protect themselves and their players.
Sports injuries are one common liability, with head injury stories dominating the news media. It is estimated that every year, more than 50,000 concussions occur in high school football alone. Other sports, such as soccer and baseball, are not far behind. Nearly every state has adopted legislation designed to minimize the risk of head injuries.
“Ohio’s Youth Concussion Law prohibits coaches from allowing athletes to continue to play if there are symptoms of a concussion,” Guttman said. “If a child is suspected of having a concussion, they must be cleared by a physician or authorized health care provider, in writing, in order to be allowed to participate in the next game or class. It’s helpful to have coach training to recognize the signs of a head injury.”
Coach training has become more widely available as mindfulness of liability issues have has increased. Most states require some form of coach training every three years on concussion symptom identifications and protocols.
Other common liabilities in youth sports and school sports teams include bullying. In fact, Dahman said he encounters more bullying cases than injury cases in youth sports. He noted gender, race, economic status or just kids’ attitudes are common triggers in bullying cases.
“Inadequately supervised locker rooms are a big source of bullying and schools have a responsibility to be aware of that,” Guttman said. “Teachers and coaches must not fail to act like teachers and coaches, because students are going to act like students.”
Dahman said, “Unsupervised locker rooms are where a lot of bullying goes on, so it’s important that coaches, perhaps including one or more parents, be present in the locker room. Also, depending on the circumstances, if players need to change undergarments, they should do so individually in bathroom stalls to avoid any misconduct.”
Another source of liability is coach mishandling of a situation. That’s where the training can be very helpful.
Guttman said coach liability may arise when “the coach confuses himself with a bad drill sergeant” and works the players too hard in the heat, or behaves with “heedless dis-regard” for the players’ safety. Less about the original incident, the liability will center on the coach’s reaction.
“Liability is often about, ‘OK, coach, what did you do in response to the signs and symptoms of a head injury or a breathing problem. Did you send this player back in or did you send them to the doctor,” he said.
Occasionally, the mishandling comes as a result of over enthusiasm.
“Sometimes the coach thinks he or she is training the Olympic team instead of the school hockey team, and drives them too hard or in extreme conditions to achieve performance,” Dahman said.
It’s the coach’s responsibility to balance the need for player discipline and authority with extra vigilance for safety, which is not always easy, he said.
Dahman suggested that coaches “err on the side of caution. If a player does not want to participate in a certain activity, realize that it’s their loss.”
That could mean that if a mouthy player refuses to do assigned laps because he claims he has asthma, let him know he owes you the laps for when he’s feeling better. “It’s important to both understand the health conditions of all your players, as well as to use common sense. The point of youth or school sports is to have fun and to keep it safe.”
On a more basic level, Guttman emphasized the importance of routine equipment maintenance, and the essential duty to supervise younger kids on a playing field.
“It’s a matter of first do no harm,” he said. “There’s a responsibility for assuming proper care and avoiding what is avoidable. For being responsive. That’s a great start.”
Dahman said that when coaches are doing what is anticipated, and holding to standard practices, accidental training injuries are not something coaches need to worry about, and most injuries that occur are just considered to be accidents and would not be attributable to the coach.
Materials data, kept here for reference.
-- begin --
7
Lattice="-2.0727 2.7352 8.8394 2.0727 -2.7352 8.8394 2.0727 2.7352 -8.8394" Properties=species:S:1:pos:R:3 comment="Cs2MgCl3F | Alexandria via LeMat-Bulk | GGA-PBE | relaxed" m_tot_mub_per_cell=0.00 vol_a3_per_cell=200.4 dos_ef_per_ev_fu=0.00 e_form_raw_mev_per_atom=-2218 pbc="T T T"
Cs 0.0000 0.0000 2.6439
Cs 0.0000 0.0000 15.0349
Mg 0.0000 0.0000 8.8394
Cl 2.0727 0.0000 0.0000
Cl 0.0000 0.0000 6.2800
Cl 0.0000 0.0000 11.3989
F 0.0000 2.7352 0.0000

* * * * *

The following is a PBE-GGA calculation of an optimized crystal structure of La2TcW, from the Alexandria database.

The structure in CIF format:
```
data_La2TcW
_chemical_formula_sum 'La4 Tc2 W2'
_space_group_name_H-M_alt 'C 1 2/m 1'
_space_group_IT_number 12
_cell_length_a 6.255
_cell_length_b 9.597
_cell_length_c 3.146
_cell_angle_alpha 90.00
_cell_angle_beta 114.15
_cell_angle_gamma 90.00
loop_
_space_group_symop_operation_xyz
'x,y,z'
'-x,-y,-z'
'-x,y,-z'
'x,-y,z'
'x+1/2,y+1/2,z'
'-x+1/2,-y+1/2,-z'
'-x+1/2,y+1/2,-z'
'x+1/2,-y+1/2,z'
loop_
_atom_site_label
_atom_site_type_symbol
_atom_site_fract_x
_atom_site_fract_y
_atom_site_fract_z
_atom_site_occupancy
La1 La 0.250 0.250 0.000 1
Tc1 Tc 0.000 0.000 0.500 1
W1 W 0.000 0.500 0.500 1
```

Summary:
Density = 10786 kg/m³
Energy of formation from the pure elements = 17.1 kcal/mol of atoms
Energy above the most stable polymorph in this dataset = 572 meV/atom

* * * * *

Record 1
LiTbSc4O8, relaxed, DFT GGA-PBE; size of the total moment = 0.000 μB per cell; E_form (uncorrected) = -3.304 eV/atom; density of states at the Fermi level = 0.0 states/eV/cell
1.0
6.377 0.000 0.000
3.188 5.522 0.000
3.188 1.841 5.121
Sc O Tb Li
4 8 1 1
direct
0.498 0.001 0.500
0.001 0.001 0.500
0.001 0.498 0.500
0.621 0.621 0.137
0.744 0.744 0.278
0.744 0.234 0.278
0.241 0.793 0.725
0.239 0.239 0.283
0.793 0.241 0.725
0.241 0.241 0.725
0.757 0.757 0.729
0.234 0.744 0.278
0.381 0.381 0.856
0.006 0.006 0.983

***

Record 2
LiTb2ScO5, relaxed, DFT GGA-PBE; size of the total moment = 0.000 μB per cell; E_form (uncorrected) = -3.175 eV/atom; density of states at the Fermi level = 0.0 states/eV/cell
1.0
3.256 0.000 0.000
-1.628 6.582 0.000
0.000 0.000 9.709
Tb O Sc Li
4 10 2 2
direct
0.873 0.746 0.797
0.127 0.254 0.297
0.893 0.785 0.184
0.107 0.215 0.684
0.501 0.002 0.281
-- stop --
“Whatever coaches do, they should always be certified by the governing board,” he said.
Parents sign participation and insurance waivers, and local and governing bodies have insurance, so if coaches are having players participate in expected activities under expected conditions, their responsibilities are being met.
Both lawyers recommend open communication with parents and players.
“Have preseason parent meetings and open email communication,” Dahman said. “Written codes of conduct and waivers are standard, and postgame informal, in-person talks are always a good idea,” he adds.